Life After People


Life After People is a rather strange documentary that shows what would happen to the Earth if people suddenly disappeared. It begins around 7:30 in the morning in a rather nice house somewhere in the US. The inhabitants disappear (for no given reason) after a few cups of coffee and before the beds are made. The family dog is still there though, looking quite confused and abandoned. The viewer is quite confused, as well, since one would think that any story about the Earth after people would have to begin by telling how the people disappeared.

So the Earth is like the Marie Celeste, the ship that was found drifting about in a completely normal state except that the crew and passengers were gone without any explanation. The gradual erasing of the human footprint and the adaptation of certain species are thoroughly explored and are strangely fascinating. Though disappointing as an apocalyptic tale, Life After People is a remarkable depiction of decay and adaptation.

The aftermath of humanity is depicted on an ever-expanding scale of days, months, years, decades, centuries and millennia. We find out what happens to the buildings, cars, cities and roads. The process of nature taking other is described very well with sound science backing it up. We have the science because of the Chernobyl disaster 22 years ago, in which an advanced society quickly disappeared due to a nuclear accident. The area is still being monitored and its rapid decay is stunning.

The CGI effects of Life After People are stunning, as well. We are treated to the collapse of the Eiffel Tower, the Hoover Dam, and both the Brooklyn and Golden Gate bridges. We see Manhattan’s streets being reclaimed by vegetation and the return of streams that had been paved over for centuries. We witness the flooding of London and Amsterdam and a beautiful rendition of an interstate highway turning into a forest.

The most fanciful depictions are those of the vertical ecosystems that may form in the skyscrapers as vegetation and animals move into office buildings. The dominant predators are descendents of housecats, but their glory is short lived as the skyscrapers are only expected to last for about 300 years. The vertical jungle of Chicago is an awesome (if imaginary) scene.

There’s a hopeful aspect to this documentary, and that is the explanation of just how resilient life is. The oceans rebound with teeming life, no longer suffering from human-induced pollution and over fishing. Species that have been hemmed in by roads and loss of habitat, again thanks to humans, should recover remarkably quickly. None of this is fanciful, because humans have caused similar recoveries before, such as the repopulation of North American wolves, thanks to human intervention (after the species’ near demise, also thanks to human intervention). There’s a strong suggestion in Life After People that we can learn how to save the planet without dying off.

But should we die off, who will miss us? Dogs of course, most of which will be gone about a week after we disappear. Cats will as well, although to a lesser extent. Coyotes, pigeons and seagulls will have a harder time of it, as they’ve learned to live off our leavings. Without humans’ waste to feed off, rats and mice will be forced to make an honest living. But surprisingly it will be the cockroaches that may miss us most of all. Apparently they are totally dependant on humans wherever winter occurs – we provide them with a warm, cozy home. The farm animals aren’t mentioned at all but lions and rhinos are expected to thrive if enough of them can escape from the zoos.

Crystal structures, kept here for reference
Entry 1:
NaCuO2 PBE relaxed; raw formation energy = -4.0 eV/f.u.; total DFT energy (no corrections) = -38.66 eV/cell
1.0
-5.6112 -1.1928 0.5217
5.1363 -2.4798 -0.8061
0.6021 -0.4922 5.3507
Na Cu O
2 2 4
direct
0.7095 0.2905 0.2500 Na
0.2905 0.7095 0.7500 Na
0.9966 0.0034 0.2500 Cu
0.0034 0.9966 0.7500 Cu
0.1146 0.8854 0.4936 O
0.8854 0.1146 0.5064 O
0.1146 0.8854 0.0064 O
0.8854 0.1146 0.9936 O

Entry 2:
SrAcZn2Si2 PBE relaxed; raw formation energy = -3.0 eV/f.u.; total DFT energy (no corrections) = -22.18 eV/cell
1.0
-2.6820 -1.0668 -3.1899
0.6630 -2.7314 3.2568
-6.9361 3.7677 4.5717
Sr Ac Zn Si
1 1 2 2
direct
0.0000 0.0000 0.5000 Sr
0.0000 0.0000 0.0000 Ac
0.6667 0.3333 0.2454 Zn
0.3333 0.6667 0.7546 Zn
0.6667 0.3333 0.7516 Si
0.3333 0.6667 0.2484 Si

Entry 3:
NpCdGa2Au4 PBE relaxed; energy of formation from the pure elements = -160 meV per atom; total DFT energy (no corrections) = -34.30 eV/cell
1.0
4.5104 0.0000 0.0000
2.2552 3.9061 0.0000
2.2552 1.3020 9.2128
Np Cd Ga Au
1 1 2 4
direct
0.0000 0.0000 0.0000 Np
0.5000 0.5000 0.5000 Cd
0.7470 0.7470 0.7590 Ga
0.2530 0.2530 0.2410 Ga
0.3907 0.3907 0.8278 Au
0.8796 0.8796 0.3611 Au
0.1204 0.1204 0.6389 Au
0.6093 0.6093 0.1722 Au

Entry 4:
PuTh2CuN5 PBE relaxed; raw formation energy = -8.7 eV/f.u.; total DFT energy (no corrections) = -167.18 eV/cell
1.0
-2.3470 1.0280 2.3389
1.4653 -6.6856 1.8360
7.6597 3.3815 6.2000
Pu Th Cu N
2 4 2 10
direct
0.8025 0.6050 0.5087 Pu
0.1975 0.3950 0.0087 Pu
0.8717 0.7433 0.8059 Th
0.1089 0.2179 0.6876 Th
0.1283 0.2567 0.3059 Th
0.8911 0.7821 0.1876 Th
0.5179 0.0358 0.9669 Cu
0.4821 0.9642 0.4669 Cu
0.3515 0.7030 0.0051 N
0.6969 0.3939 0.8690 N
0.4952 0.9904 0.7755 N
0.2861 0.5723 0.6514 N
0.9484 0.8968 0.5539 N
0.6485 0.2970 0.5051 N
0.3031 0.6061 0.3690 N
0.5048 0.0096 0.2755 N
0.7139 0.4277 0.1514 N
0.0516 0.1032 0.0539 N

Entry 5:
ErFe12 PBE relaxed; energy of formation from the pure elements = -14 meV per atom; total DFT energy (no corrections) = -106.30 eV/cell
1.0
-0.0236 -4.5562 1.0613
5.9381 -2.3322 0.4310
0.0975 -0.9288 6.3256
Er Fe
1 12
direct
0.0000 0.0000 0.0000 Er
0.5000 0.0000 0.5000 Fe
0.0000 0.0000 0.5000 Fe
0.5000 0.5000 0.0000 Fe
0.0000 0.5000 0.0000 Fe
0.0000 0.6420 0.3580 Fe
0.0000 0.3580 0.6420 Fe
0.6420 0.3580 0.3580 Fe
0.3580 0.6420 0.6420 Fe
0.5000 0.2254 0.7746 Fe
0.5000 0.7746 0.2254 Fe
0.7254 0.7746 0.7746 Fe
0.2746 0.2254 0.2254 Fe

Entry 6:
Sm7Ag2Rh2 PBE relaxed; energy of formation from the pure elements = -281 meV per atom; total DFT energy (no corrections) = -56.53 eV/cell
1.0
6.7872 -0.0031 -0.9060
0.0035 7.2089 0.0029
-1.3271 -0.0019 6.7176
Sm Ag Rh
7 2 2
direct
0.0000 0.2570 0.5000 Sm
0.5000 0.7430 0.0000 Sm
0.0000 0.7430 0.5000 Sm
0.5000 0.2570 0.0000 Sm
0.0000 0.0000 0.0000 Sm
0.5000 0.7505 0.5000 Sm
0.5000 0.2495 0.5000 Sm
0.8238 0.5000 0.8238 Ag
0.1762 0.5000 0.1762 Ag
0.7089 0.0000 0.2911 Rh
0.2911 0.0000 0.7089 Rh

Entry 7:

As Life After People progresses, the traces of our existence become harder to find as nature takes over. Our books, CDs and DVDs rot away. The concrete crumbles, the dams burst and the cities turn into earth-covered rubble. After 100,000 years only the Great Wall of China, the Pyramids, and Mount Rushmore are recognizable — barely. The question of whether the next intelligent species to arise on Earth (if any does) will have any clue to our existence is debated.

Then a really disheartening point is brought up. A staple of science fiction is that our radio broadcasts travel out into the universe forever, and hopefully will be picked up someday, somehow, by a willing receiver. It’s a comforting thought that we have been broadcasting our presence to the universe for almost a century. Every year our presence is announced in an ever expanding sphere that is light years across and constantly growing. Surely any alien with a radio telescope will eventually be able to hear the whole cacophony of our radio and television broadcasts. Not according to Life After People, though. Apparently the signals disperse and become little more than background noise – static — after a light year. Aw hell…

So we are left with a rather gloomy yet fascinating show that is best watched when the viewer is receptive to the end of humanity. (A Bush speech got me in the mood.) But even after entering such a state of mind the show is still a bit silly. My Persian cat who was beside me the whole time wasn’t in the least alarmed at the prospect of humanity’s demise, presumably any roaches that may have been watching weren’t, either. But the special effects are really worth seeing.

There are several short extra features each about two and a half minutes long. Most of them are various scenarios of human extinction that seem a bit far-fetched. There’s the portrayal of a plague, nuclear winter and an asteroid strike. An interesting theory is that our genetic material may slowly degrade. The best extra is about the trash that we leave behind. Apparently styrofoam really is forever and the garbage that the sea washes up on Midway’s beaches is shocking. I guess we may as well survive, after all, someone has to clean up the mess.

RATING 6 / 10